Listing:
+++
1.
{"formula": "Sr2ZrCd", "functional": "meta-GGA SCAN", "state": "PBEsol geometry", "lattice_angstrom": [[1.8282, 1.0555, 11.1622], [-1.8282, 1.0555, 11.1622], [0.0000, -2.1110, 11.1622]], "species": ["Sr", "Sr", "Zr", "Cd"], "fractional_positions": [[0.0000, 0.0000, 0.0000], [0.2265, 0.2265, 0.2265], [0.4750, 0.4750, 0.4750], [0.7443, 0.7443, 0.7443]], "total_magnetization_mub_per_fu": 0.922, "dft_energy_ev_per_atom": -26.1153, "formation_energy_ev_per_atom": 0.301, "spacegroup": "R3m (160)"}



2.
{"formula": "TaCd3", "functional": "meta-GGA SCAN", "state": "PBEsol geometry", "lattice_angstrom": [[-1.3939, 5.0076, 2.7390], [1.3939, -5.0076, 2.7390], [1.3939, 5.0076, -2.7390]], "species": ["Ta", "Cd", "Cd", "Cd"], "fractional_positions": [[0.0000, 0.0000, 0.0000], [0.0535, 0.3087, 0.7448], [0.4925, 0.9925, 0.5000], [0.5640, 0.3087, 0.2552]], "total_magnetization_mub_per_fu": 0.000, "dft_energy_ev_per_atom": -39.2260, "formation_energy_ev_per_atom": 0.231, "spacegroup": "Imm2 (44)"}



3.
{"formula": "TaCd2", "functional": "meta-GGA SCAN", "state": "PBEsol geometry", "lattice_angstrom": [[-3.5727, 3.5727, 2.5060], [3.5727, -3.5727, 2.5060], [3.5727, 3.5727, -2.5060]], "species": ["Ta", "Ta", "Cd", "Cd", "Cd", "Cd"], "fractional_positions": [[0.2500, 0.2500, 0.0000], [0.7500, 0.7500, 0.0000], [0.1590, 0.6590, 0.8181], [0.3410, 0.1590, 0.5000], [0.6590, 0.8410, 0.5000], [0.8410, 0.3410, 0.1819]], "total_magnetization_mub_per_fu": 0.000, "dft_energy_ev_per_atom": -41.9861, "formation_energy_ev_per_atom": 0.485, "spacegroup": "I4/mcm (140)"}



4.
{"formula": "TaCd2", "functional": "meta-GGA SCAN", "state": "PBEsol geometry", "lattice_angstrom": [[-1.4260, 1.4260, 14.2523], [1.4260, -1.4260, 14.2523], [1.4260, 1.4260, -14.2523]], "species": ["Ta", "Ta", "Cd", "Cd", "Cd", "Cd"], "fractional_positions": [[0.3750, 0.6250, 0.7500], [0.6250, 0.3750, 0.2500], [0.0459, 0.7959, 0.2500], [0.2041, 0.9541, 0.2500], [0.7959, 0.0459, 0.7500], [0.9541, 0.2041, 0.7500]], "total_magnetization_mub_per_fu": 0.000, "dft_energy_ev_per_atom": -42.2345, "formation_energy_ev_per_atom": 0.236, "spacegroup": "I4_1/amd (141)"}



5.
{"formula": "Ta8Cd", "functional": "meta-GGA SCAN", "state": "PBEsol geometry", "lattice_angstrom": [[-4.8665, 4.8665, 1.6979], [4.8665, -4.8665, 1.6979], [4.8665, 4.8665, -1.6979]], "species": ["Ta", "Ta", "Ta", "Ta", "Ta", "Ta", "Ta", "Ta", "Cd"], "fractional_positions": [[0.0000, 0.3333, 0.3333], [0.0000, 0.6667, 0.6667], [0.3296, 0.3296, 0.6592], [0.3296, 0.6704, 0.0000], [0.3333, 0.0000, 0.3333], [0.6667, 0.0000, 0.6667], [0.6704, 0.3296, 0.0000], [0.6704, 0.6704, 0.3408], [0.0000, 0.0000, 0.0000]], "total_magnetization_mub_per_fu": 0.000, "dft_energy_ev_per_atom": -62.4819, "formation_energy_ev_per_atom": 0.083, "spacegroup": "I4/mmm (139)"}



6.
{"formula": "TaCd2", "functional": "meta-GGA SCAN", "state": "PBEsol geometry", "lattice_angstrom": [[0.0000, 3.8158, 3.8158], [3.8158, 0.0000, 3.8158], [3.8158, 3.8158, 0.0000]], "species": ["Ta", "Ta", "Cd", "Cd", "Cd", "Cd"], "fractional_positions": [[0.1250, 0.1250, 0.1250], [0.8750, 0.8750, 0.8750], [0.0000, 0.5000, 0.5000], [0.5000, 0.0000, 0.5000], [0.5000, 0.5000, 0.0000], [0.5000, 0.5000, 0.5000]], "total_magnetization_mub_per_fu": 0.000, "dft_energy_ev_per_atom": -42.0113, "formation_energy_ev_per_atom": 0.459, "spacegroup": "Fd-3m (227)"}



7.
{"formula": "TaCd2Tc", "functional": "meta-GGA SCAN", "state": "PBEsol geometry", "lattice_angstrom": [[2.7226, -4.6004, 0.0000], [2.7226, 4.6004, 0.0000], [0.0000, 0.0000, 2.7487]], "species": ["Ta", "Cd", "Cd", "Tc"], "fractional_positions": [[0.0000, 0.0000, 0.0000], [0.0000, 0.5000, 0.5000], [0.5000, 0.0000, 0.5000], [0.5000, 0.5000, 0.0000]], "total_magnetization_mub_per_fu": 0.000, "dft_energy_ev_per_atom": -40.2648, "formation_energy_ev_per_atom": 0.353, "spacegroup": "Cmmm (65)"}



8.
+++
Exercise:
What is needed: duplicate every line earlier on that contains the word "mcm".
Outcome:
{"formula": "TaCd2", "functional": "meta-GGA SCAN", "state": "PBEsol geometry", "lattice_angstrom": [[-3.5727, 3.5727, 2.5060], [3.5727, -3.5727, 2.5060], [3.5727, 3.5727, -2.5060]], "species": ["Ta", "Ta", "Cd", "Cd", "Cd", "Cd"], "fractional_positions": [[0.2500, 0.2500, 0.0000], [0.7500, 0.7500, 0.0000], [0.1590, 0.6590, 0.8181], [0.3410, 0.1590, 0.5000], [0.6590, 0.8410, 0.5000], [0.8410, 0.3410, 0.1819]], "total_magnetization_mub_per_fu": 0.000, "dft_energy_ev_per_atom": -41.9861, "formation_energy_ev_per_atom": 0.485, "spacegroup": "I4/mcm (140)"}